Source
{
  "formula": "C33H66B2Br2F3I2N6O11P2",
  "method": "wB97M-V/def2-TZVPD",
  "symbols": ["C", "N", "C", "N", "C", "N", "B", "O", "O", "P", "O", "Br", "N", "C", "C", "C", "Br", "C", "I", "B", "O", "O", "C", "C", "I", "C", "P", "O", "O", "O", "C", "C", "C", "O", "C", "C", "F", "F", "F", "H", "H", "H", "H", "H", "H", "H", "H", "H", "H", "H", "H", "H", "H", "H", "H", "H", "H", "H", "H", "H", "H", "H", "H", "H", "H", "H", "H", "H", "H", "C", "C", "C", "C", "C", "C", "N", "O", "C", "C", "C", "H", "H", "H", "H", "H", "H", "H", "H", "H", "H", "H", "H", "H", "H", "H", "H", "H", "H", "C", "C", "C", "C", "C", "C", "N", "O", "C", "C", "C", "H", "H", "H", "H", "H", "H", "H", "H", "H", "H", "H", "H", "H", "H", "H", "H", "H", "H"],

Wanted
The reader should repeat the whole of the data earlier on word for word.

Completed
{
  "formula": "C33H66B2Br2F3I2N6O11P2",
  "method": "wB97M-V/def2-TZVPD",
  "symbols": ["C", "N", "C", "N", "C", "N", "B", "O", "O", "P", "O", "Br", "N", "C", "C", "C", "Br", "C", "I", "B", "O", "O", "C", "C", "I", "C", "P", "O", "O", "O", "C", "C", "C", "O", "C", "C", "F", "F", "F", "H", "H", "H", "H", "H", "H", "H", "H", "H", "H", "H", "H", "H", "H", "H", "H", "H", "H", "H", "H", "H", "H", "H", "H", "H", "H", "H", "H", "H", "H", "C", "C", "C", "C", "C", "C", "N", "O", "C", "C", "C", "H", "H", "H", "H", "H", "H", "H", "H", "H", "H", "H", "H", "H", "H", "H", "H", "H", "H", "C", "C", "C", "C", "C", "C", "N", "O", "C", "C", "C", "H", "H", "H", "H", "H", "H", "H", "H", "H", "H", "H", "H", "H", "H", "H", "H", "H", "H"],